What a Difference! (Acts 4:13)

(Acts 4:13)

Check this out:

“When the council saw the boldness of Peter and John,
and could see that they were obviously uneducated,
non-professionals, they were amazed and realized what
being with Jesus had done for them.” (The Living Bible)

Last week we chatted about Peter and John healing the lame man who was sitting on the steps of the Temple.

After being healed, he jumped up!
He ran around the Temple courtyards.
He began shouting and praising God.

Can you imagine?
Muscles, tissues, ligaments, sinews that had never worked before—
now suddenly in motion.

All this commotion drifted to the Sanhedrin Council.
When THEY heard about it, they were furious!

OK. Who’s the Sanhedrin Council?
Sort of a “religious supreme court” in biblical days.

They were furious, because they’d told Peter and John—
and the rest of the disciples—not to talk about Jesus anymore.

“He’s dead.
It’s over.
This Christianity thing is never going to get off the ground.
We demand your silence!”

They were used to intimidating the disciples.
They knew the disciples were a
group of men.

Where were they when their LORD was crucified?
They fled.
They were scared.
They ran for their lives.
(Except for John—who stayed with Jesus’ mother during the crucifixion.)

So the Sanhedrin Council is thinking,
Bring them in again, and we’ll lower the boom.
How should it go down this time?
Should we shackle them first?
Maybe we’ll starve them a few days before confronting them.
Should we bring out the cat-of-nine-tails?
How should we deal with them this time?
But this time . . .
when Peter and John stood before the Council,
they didn’t nervously shift their weight from foot to foot.

**The piece is interrupted by records of molecules:**
- - -
(1)
Density functional theory data (ωB97M-V with the def2-TZVPD basis set) for C17H17N7O2S in the gas phase at a distorted geometry.

Calculated values
2S+1   1
Total charge   0
Molar mass   383.44 g mol⁻¹
E_LUMO   -0.930 eV
Highest occupied orbital energy   -8.4 eV
Relative energy (zero: lowest compared OMol25 entry of this formula, charge and spin)   0.898 eV
Energy   -1590.00759 hartree
HOMO-LUMO gap   0.2750 Ha

Atoms and positions in Å:
N -6.095 4.256 -1.124
C -5.017 4.681 -0.455
N -4.121 3.790 -0.233
C -2.918 4.181 0.360
N -1.923 3.274 0.340
C -0.679 3.641 0.803
C 0.456 2.725 0.756
O 1.613 3.059 0.977
N 0.252 1.388 0.494
C 1.335 0.405 0.454
C 0.831 -1.026 0.425
S -0.783 -1.318 0.212
N 1.550 -2.201 0.586
C 3.004 -2.248 0.465
C 3.411 -3.142 -0.696
C 2.866 -4.534 -0.678
C 1.663 -4.860 -1.358
C 1.165 -6.176 -1.386
C 1.906 -7.207 -0.756
C 3.110 -6.871 -0.083
C 3.598 -5.552 -0.045
C -0.482 4.961 1.309
N -1.470 5.851 1.345
C -2.679 5.488 0.829
C -3.802 6.422 0.608
O -3.988 7.516 1.132
N -4.900 6.009 -0.151
H -5.865 3.356 -1.536
H -6.474 4.943 -1.761
H -0.716 1.118 0.252
H 1.927 0.473 1.367
H 1.987 0.595 -0.393
H 1.018 -3.077 0.650
H 3.448 -2.744 1.333
H 3.429 -1.261 0.342
H 4.501 -3.173 -0.797
H 2.998 -2.663 -1.600
H 1.080 -4.124 -1.923
H 0.256 -6.413 -1.924
H 1.514 -8.200 -0.752
H 3.687 -7.678 0.362
H 4.523 -5.417 0.524
H 0.511 5.240 1.713
H -5.726 6.510 0.013

(2)
Density functional theory data (ωB97M-V with the def2-TZVPD basis set) for a molecular structure, C39H30BrCl2CsF10N6O2S at a distorted geometry.

Calculated values
2S+1   1
Total charge   -2
Molar mass   1120.47 g mol⁻¹
E_LUMO   3.534 eV
Highest occupied orbital energy   -1.4 eV
Relative energy (zero: lowest compared OMol25 entry of this formula, charge and spin)   1.669 eV
Energy   -6894.53291 hartree
HOMO-LUMO gap   0.1821 Ha

Atoms and positions in Å:
Cs 0.416 0.536 1.399
C -1.547 2.862 -1.417
N -0.454 2.853 -0.463
C -0.827 3.384 0.844
C -2.222 3.035 1.366
N -2.517 1.614 1.274
C -3.449 1.090 2.064
C -3.742 -0.307 1.907
F -3.015 -0.995 0.999
C -4.706 -0.996 2.593
F -4.933 -2.301 2.301
C -5.486 -0.377 3.561
F -6.433 -1.062 4.253
C -5.252 0.960 3.772
F -5.995 1.617 4.696
C -4.295 1.664 3.054
F -4.225 3.000 3.341
C 0.705 3.553 -1.011
C 1.903 3.667 -0.077
N 2.369 2.359 0.348
C 3.144 2.231 1.416
C 3.691 3.220 2.287
F 3.529 4.545 2.008
C 4.453 2.925 3.401
F 4.919 3.939 4.167
C 4.769 1.631 3.751
F 5.503 1.360 4.860
C 4.309 0.619 2.928
F 4.639 -0.654 3.211
C 3.547 0.902 1.817
F 3.190 -0.138 1.022
H -1.936 3.884 -1.594
H -2.359 2.224 -1.068
H -1.186 2.469 -2.370
H -0.760 4.488 0.850
H -0.092 3.015 1.568
H -2.975 3.622 0.813
H -2.239 3.419 2.391
H 0.424 4.588 -1.299
H 1.014 3.031 -1.921
H 1.628 4.326 0.754
H 2.683 4.214 -0.634
C -4.693 -5.405 5.239
C -3.559 -4.500 4.832
C -2.890 -3.722 5.772
C -1.862 -2.870 5.394
C -1.508 -2.786 4.056
C -2.159 -3.557 3.101
C -3.174 -4.412 3.499
S -0.226 -1.672 3.573
O -0.884 -0.413 3.270
O 0.693 -1.639 4.695
N 0.369 -2.209 2.231
C 1.098 -3.376 2.178
- - -
**The piece goes on:**

Their eyes locked intently into the eyes of the Council.
And when they spoke, it was with such determination,
such confidence.
This time, their words were articulate.
Filled with power.
They stood with boldness.

There was such a DIFFERENCE in Peter and John
that the Council began arguing between themselves:

“Hey, these aren’t the same two guys we’ve hauled in before.”
“Of course they are! Look at their teeth—they’re still crooked.”
“No, I’m telling you, these are different guys!”
“Nah, they’re the same two. Notice the dirt underneath their fingernails?”
“They’re not the same!”
“Of course they are. They’re uneducated. They’re non-professionals.”

They WERE the same two men . . . but they WEREN’T the same.
That’s because the Holy Spirit had transformed them!
The Holy Spirit had taken a rag-tag gang of fearful disciples
and had transformed them into a godly band of flaming evangelists!

That’s the difference the Holy Spirit makes in our lives.

God is not into recovery; He’s into complete restoration.

He wants to sanctify us wholly to live holy lives.

Yes, Peter and John had been with Jesus.
And the difference in their lives was so astonishing that even the Sanhedrin Council noticed.

But it wasn’t simply being with Jesus that made the difference.
It was the Holy Spirit’s power being released in every area of their lives.

It was the fact that Peter and John had completely yielded to the authority of Christ. They had “died to themselves” and were genuinely living in the power of the Holy Spirit.

That same mighty power—
the power that healed a lame man
and caused the blind to see . . .

The same mighty power that set the stars in the sky
and placed the entire universe in order—

The same mighty power that raised a dead man to life . . .
is YOURS to live in every single day of your life!

You may be a Christian.

But are you living in this kind of power?

He Wants YOU to Participate! (Acts 3:1-10)

It’s a fascinating account.
Peter and John are on their way to the temple to praise God and to worship.

They see a lame man sitting near the temple steps begging for money.

That’s the only way handicapped people could earn a living in Bible days; they held out a tin cup.

When he saw both Peter and John approaching, he got excited thinking, Great! There are two men. I’ll get double the amount.

But Peter gave the classic response (that you’ve probably had memorized since Vacation Bible School days): “Silver and gold have I none, but what I have, give I thee.”

-- begin --
(1)
Formula: C29H29N3PdSi
Source: the OMol25 dataset
Level of theory: wB97M-V/def2-TZVPD

```
63
Properties=species:S:1:pos:R:3:forces:R:3
C -3.3957 1.3376 0.2935 -0.21 -0.72 -0.30
C -3.0858 0.0587 -0.2562 -0.65 -0.24 0.36
C -2.5520 -0.7678 0.7869 -0.98 -0.17 -0.42
H -3.2937 -0.2543 -1.2763 0.25 0.13 0.25
C -2.5827 0.0009 2.0023 0.65 0.79 0.22
C -3.0946 1.2980 1.6904 -0.54 -0.50 0.76
H -3.2925 2.0920 2.4059 0.10 -0.25 -0.23
H -3.8577 2.1715 -0.2388 0.33 -0.29 0.16
H -2.2230 -1.8020 0.6911 -0.14 0.31 0.05
H -2.2734 -0.3372 2.9904 -0.18 0.03 -0.33
Pd -1.0804 0.9335 0.5814 0.80 -0.89 -0.48
C 0.5361 0.6596 1.8653 -0.63 1.79 0.97
H 0.2778 1.3842 2.6478 0.31 -0.30 0.07
H 1.4629 0.9575 1.3745 -0.54 0.01 -0.06
H 0.5265 -0.3530 2.2687 -0.20 0.20 -0.36
Si 1.5864 -1.6785 0.1391 2.20 -0.91 -0.18
C 2.3443 -2.2211 -1.4836 -0.23 0.06 -0.01
C 1.4955 -2.9082 -2.3654 0.44 0.03 -0.37
H 0.4545 -3.0874 -2.0906 0.13 0.04 -0.11
C 1.9810 -3.4072 -3.5774 -0.05 -0.02 0.07
H 1.3021 -3.9322 -4.2518 0.25 0.10 0.16
C 3.3310 -3.2545 -3.9077 -0.19 0.11 0.28
H 3.7098 -3.6574 -4.8480 -0.08 0.14 0.29
C 4.1918 -2.6088 -3.0141 -0.12 -0.02 0.13
H 5.2502 -2.5256 -3.2582 -0.25 0.02 0.09
C 3.7056 -2.0909 -1.8063 -0.22 -0.19 -0.30
H 4.3889 -1.6175 -1.1007 -0.12 -0.03 -0.24
C 1.7072 -3.0997 1.3345 0.37 0.00 0.58
C 2.2326 -4.3578 0.9751 -0.52 -0.09 0.16
H 2.8079 -4.4735 0.0515 -0.43 0.00 0.19
C 2.0118 -5.4700 1.8007 0.15 0.22 0.07
H 2.3699 -6.4525 1.4954 -0.01 0.26 0.07
C 1.3319 -5.3314 3.0143 -0.02 0.29 -0.33
H 1.1298 -6.1979 3.6416 0.07 0.18 -0.18
C 0.9331 -4.0600 3.4326 0.18 0.20 0.11
H 0.4330 -3.9285 4.3909 0.23 -0.07 -0.12
C 1.1816 -2.9442 2.6319 -0.27 -0.71 -0.22
H 0.9702 -1.9495 3.0252 -0.19 -0.31 -0.04
H 0.1517 -1.4915 -0.1410 -0.56 0.54 0.24
H 2.2595 -0.4592 0.7101 -0.15 -0.68 -0.63
C -2.0879 6.2268 2.5603 -0.26 0.82 -0.23
C -1.7982 4.9875 3.1491 0.56 -1.60 -0.30
C -1.3465 3.9332 2.3570 -0.35 0.29 1.37
C -1.2102 4.1018 0.9628 0.48 -1.86 -1.71
C -1.4431 5.3722 0.3929 -0.56 1.81 -0.14
C -1.9006 6.4279 1.1852 0.42 -0.72 -0.83
N -0.9302 3.0200 0.1021 -0.15 1.51 3.90
N -0.7824 3.3701 -1.1597 0.59 -1.11 -3.30
C -0.6068 2.2977 -2.0165 -0.08 1.34 0.85
C -0.4474 2.5089 -3.4138 -0.17 0.10 0.41
C -0.3781 1.4115 -4.2556 0.20 -0.13 0.21
C -0.4287 0.1239 -3.6867 -0.17 0.19 -0.31
C -0.6111 -0.0116 -2.3187 0.22 0.11 0.21
N -0.6396 1.0442 -1.4991 -0.03 -0.29 -0.62
H -2.4650 7.0457 3.1767 0.16 -0.26 -0.17
H -1.9330 4.8481 4.2255 0.10 0.04 -0.43
H -1.1169 2.9605 2.7909 -0.05 0.37 -0.02
H -1.2955 5.4640 -0.6832 -0.08 0.21 0.45
H -2.1070 7.3934 0.7189 0.06 -0.32 0.25
H -0.4187 3.5487 -3.7320 0.01 -0.32 -0.19
H -0.2811 1.5321 -5.3372 0.00 0.01 0.41
H -0.3640 -0.7847 -4.2814 -0.03 0.29 0.01
H -0.7411 -0.9961 -1.8628 0.18 0.40 -0.22
```
Positions in Å, forces in eV/Å.

The multiplicity is 5. Its expectation value of S² is 6.07. Its highest occupied orbital energy (alpha / beta) is -13.5144 / -13.4853 eV. As for the total charge: +2.



(2)
Formula: C29H30As2KO2P
Source: the OMol25 dataset
-- stop --

In other words, “We don’t have any money. But we have something  much greater! We know the Creator of the universe. We’re on a first-name basis with Him. His name is Jesus Christ. He was crucified, but He conquered death and is alive right now. He has the power to forgive sins and grant you eternity in heaven with Him. Would you like to receive salvation?”

YES! The man excitedly accepted the apostle’s invitation to pray. And then—to the man’s surprise—Peter and John . . . in the authority of God Himself . . . healed the man.

Scripture tells us that he went leaping and screaming praises to God! He ran all around the temple courtyard.

We would, too!

Imagine: Muscles, limbs, ligaments, which had never worked before—now in fluid motion!

He could walk.
He was completely healed.

I love it.

But here’s what amazes me:
Jesus passed that man several times.

How often did Jesus go to the temple?
A lot!
The man had been there for years.
Year after year, his loved ones had carried him to the temple steps.
This was his spot.

Jesus walked right by him.

Jesus healed so many during His time on earth.
Why not this man?

Could it be . . . that Jesus simply wanted Peter and John’s participation?
Could it be that Jesus was saving this miracle for these two disciples?
Perhaps to strengthen their faith?
Maybe to remind them—after He had ascended into heaven—that His authority and power really DOES inhabit His disciples?

Jesus knows all.
He knew the exact time, moment, date . . . that Peter and John would approach this man.

He granted them the authority and power
exactly when they needed it.

I’m learning more and more that Jesus wants US to participate in what HE does!

He wants to USE us.

Sure, He could simply do each miracle with the blink of His eye,

But could it be . . . that He’s saving some things for us?

We are His disciples.
We have His authority.
We live within His power.

Are we using it?

Are you participating in all that God wants to do through you?


I mentioned last week that I love the book of Daniel,
and by reading a commentary about him, I discovered
some exciting things.

Last week I shared that I found out Daniel was only 14
when he was captured.
And his three best friends—Shadrack, Meshack and Abednego—
were even younger than he was!

I’m impressed with their strong relationship with God,
and I’m impressed with their backbones of steel.

I sure hope we’re bringing up some Daniels today.
I challenged you last week to grab a student and help him/her become a Daniel by participating on our Susie Shellenberger Ministries missions trip to Haiti June 27 to July 10, 2016.

BUT I gave the wrong address to our Website!

Here’s the correct address if you’d like to get the info:


I mistakenly put a period after org and you told me you couldn’t connect.
Try it again with this correct address.

OK. Let’s get back to Daniel.

Here’s another amazing thing I’ve discovered.
Most Bible scholars believe Daniel was 87 years old when he was
thrown into the den of lions.

Records of molecules, kept here for reference >
<<<
1.
A gas-phase ion, C22H31N2O3 (charge +1), computed with ωB97M-V/def2-TZVPD.

Values from the calculation:
2S+1: 1
highest occupied orbital energy: -10.53 eV
total charge: +1
F_max: 0.99 eV/Å
SMILES: COc1ccccc1N1CC[NH+](C[C@H](O)COc2ccc(C)c(C)c2)CC1
ΔE to the lowest compared entry with this formula, charge and spin: 33.9 kcal/mol
Kohn-Sham gap: 8.508 eV

Positions of all 58 atoms, in Å:
1 C 5.727 0.362 -0.675
2 H 6.098 1.362 -0.436
3 H 5.680 0.244 -1.756
4 H 6.403 -0.390 -0.258
5 O 4.403 0.181 -0.220
6 C 4.134 0.369 1.108
7 C 5.108 0.603 2.067
8 C 4.764 0.810 3.393
9 C 3.438 0.783 3.771
10 C 2.457 0.532 2.825
11 C 2.777 0.317 1.491
12 N 1.796 0.122 0.495
13 C 0.430 0.489 0.741
14 C -0.399 -0.669 1.327
15 N -0.308 -1.843 0.429
16 C -1.173 -2.963 0.852
17 H -0.826 -3.888 0.384
18 H -1.122 -3.097 1.934
19 C -2.644 -2.772 0.436
20 O -3.287 -3.935 0.874
21 H -4.233 -3.898 0.694
22 C -2.761 -2.605 -1.098
23 O -2.024 -1.498 -1.574
24 C -2.595 -0.221 -1.566
25 C -3.818 0.105 -1.012
26 C -4.242 1.425 -1.060
27 C -3.473 2.423 -1.635
28 C -2.233 2.085 -2.193
29 C -1.810 0.767 -2.148
30 H -0.871 0.482 -2.600
31 C -1.373 3.127 -2.832
32 H -1.129 3.912 -2.118
33 H -1.900 3.593 -3.663
34 H -0.449 2.696 -3.207
35 C -3.965 3.834 -1.669
36 H -4.059 4.179 -2.698
37 H -3.265 4.498 -1.163
38 H -4.934 3.918 -1.187
39 H -5.202 1.674 -0.635
40 H -4.459 -0.634 -0.558
41 H -3.812 -2.537 -1.394
42 H -2.329 -3.484 -1.586
43 H -3.063 -1.882 0.933
44 C 1.112 -2.226 0.259
45 C 1.874 -1.039 -0.350
46 H 2.916 -1.310 -0.505
47 H 1.438 -0.795 -1.326
48 H 1.174 -3.093 -0.400
49 H 1.528 -2.484 1.236
50 H -0.681 -1.552 -0.510
51 H -1.442 -0.364 1.424
52 H -0.017 -0.964 2.307
53 H 0.391 1.347 1.411
54 H -0.023 0.790 -0.213
55 H 1.428 0.523 3.150
56 H 3.157 0.952 4.798
57 H 5.537 0.998 4.120
58 H 6.147 0.643 1.785

Results of the natural (NBO) charge analysis, in e, for atoms 1 through 4: -0.252, 0.188, 0.206, 0.182

***

2.
C22H31N3O4S in the gas phase at a distorted geometry, computed with ωB97M-V/def2-TZVPD.

Values from the calculation:
2S+1: 1
highest occupied orbital energy: -8.74 eV
total charge: 0
F_max: 1.01 eV/Å
SMILES: CC[C@H](C)NC(=O)c1cn(CC)c2ccc(S(=O)(=O)N3CCCCCC3)cc2c1=O
ΔE to the lowest compared entry with this formula, charge and spin: 13.5 kcal/mol
Kohn-Sham gap: 8.702 eV

Positions of all 61 atoms, in Å:
1 C 6.626 -2.255 2.881
2 C 5.334 -1.798 2.217
3 H 5.190 -0.727 2.383
4 H 4.493 -2.323 2.676
5 C 5.299 -2.079 0.709
6 N 3.969 -1.818 0.203
7 C 3.142 -2.776 -0.234
8 O 3.419 -3.966 -0.268
9 C 1.804 -2.285 -0.704
10 C 0.957 -3.238 -1.176
11 N -0.286 -3.018 -1.646
12 C -0.786 -1.736 -1.653
13 C -2.084 -1.442 -2.105
14 C -2.547 -0.147 -2.110
15 C -1.731 0.888 -1.676
16 C -0.461 0.631 -1.229
17 C 0.029 -0.679 -1.198
18 C 1.389 -0.899 -0.675
19 O 2.067 0.035 -0.253
20 H 0.183 1.435 -0.905
21 S -2.401 2.548 -1.683
22 O -1.318 3.484 -1.577
23 O -3.291 2.669 -2.802
24 N -3.343 2.473 -0.305
25 C -4.630 3.125 -0.349
26 H -5.329 2.532 0.254
27 C -4.643 4.579 0.128
>>>


And most Bible scholars also believe that he just slept the entire night.
I know what some of you are thinking.
Some of you are saying, “Susie! When you’re 87, that’s all you do—sleep!”

But I think he slept not simply because he was getting up in years.
I believe he was able to sleep because of his strong relationship with God.

In other words, Daniel’s relationship with Jehovah God was so intimate . . . so secure . . . so strong . . . that he could simply sleep
IN THE MIDST of persecution.

That’s what I want.

When I feel as though my world is falling apart, or people make fun of my convictions, I want to be able to simply relax and think,
God has my back.
So I don’t need to worry.
I can just sleep right through this.

Maybe sleeping can become my spiritual gift.


Wouldn’t it be great to actually be so calm during trials or persecution that we could actually just sleep right through it because we know God is in complete charge?

Let’s “dare to be a Daniel” (as the old hymn says).

And let’s reach out to some students and help them become intimate with God. We need more Daniels today.

Will you join me in becoming a Daniel?